Monday, May 23, 2005

~Ramblings From the Burnt Girl~


I'm burnt...

I'm not just sun burned, but I'm burnt out... Tired that is.

I think all my time spent in the sun yesterday just wore me out...

I'm not used to it, yet.

Give me a few more days of this new found heat and I'll surely be used to it :D

Yep, you heard me correctly.  HEAT is finally here!!

We are looking at 90 degrees for the rest of the work week!!  I can't believe it.  That means we'll be able to use our pool even more!!  Woo Hoo!!

Yesterday, my mom, Rowan, my best bud Amy and I went to Oakdale (The Cowboy Capital) to the Chocolate Festival there!! 

Yep!  The Chocolate Festival...

It is put on by Hershey's and a few other local big wig companies.  But because there is a Hershey plant in Oakdale, it is really focused around that- the chocolate I mean.

You can find anything that revoles around chocolate there.  Chocolate covered bananas or strawberries.  Brownies, toffee's, chocolate chip cookie "pizzas"... Yum Yum!! 

I was good of course.  I didn't endulge in anything... Miss Rowan did get a chocolate covered rice krispie treat, dipped in M & M's!  She loved it... And let me tell ya, her face was covered in chocolate!!  Lol...

She was sure tired after we walked all over though.  By the time we got back from there and the grocery store (where she went Coo-Coo!!) she was very ready for her nap.  Thankfully she didn't fight it and was out in the matter of 10 mins or so.

The entry is interrupted by data records:
********
No. 1
The following is a PBE+U calculation of Li11Fe3B24Pb2O48 after structural relaxation, from the Materials Project database.

Symmetry   P1
ρ   3.3 g/cm3
Volume   836.2 Å³/cell

abc: 9.5751 9.6336 9.6464
angles: 100.87 100.62 100.70
Sites, in units of the cell vectors:
Li 0.0000 0.0000 0.0000
Li 0.0172 0.3244 0.4155
Li 0.1004 0.8069 0.5864
Li 0.3244 0.4106 0.0172
Li 0.4080 0.8988 0.1988
Li 0.4282 0.2213 0.6032
Li 0.5004 0.4977 0.4977
Li 0.6038 0.3068 0.0905
Li 0.8287 0.9155 0.5193
Li 0.9117 0.3957 0.6898
Li 0.9331 0.7227 0.1079
Fe 0.2124 0.6087 0.3039
Fe 0.5171 0.8251 0.9157
Fe 0.7174 0.1184 0.7998
B 0.0107 0.1464 0.7533
B 0.1179 0.0954 0.5370
B 0.1652 0.9076 0.3405
B 0.1806 0.6581 0.0060
B 0.1986 0.3429 0.7054
B 0.2275 0.8775 0.9022
B 0.2500 0.5619 0.5998
B 0.2641 0.3133 0.2665
B 0.3115 0.1259 0.0709
B 0.4223 0.0801 0.8529
B 0.4446 0.5094 0.7831
B 0.4816 0.2078 0.3182
B 0.5101 0.6464 0.2542
B 0.6206 0.5927 0.0433
B 0.6651 0.4088 0.8399
B 0.6784 0.1599 0.5067
B 0.7015 0.8386 0.2110
B 0.7303 0.3771 0.4007
B 0.7524 0.0638 0.0965
B 0.7642 0.8095 0.7665
B 0.8125 0.6253 0.5693
B 0.9180 0.5734 0.3531
B 0.9488 0.0134 0.2886
B 0.9825 0.7072 0.8179
Pb 0.4588 0.8616 0.5356
Pb 0.9709 0.3630 0.0577
O 0.0256 0.0440 0.6389
O 0.0290 0.1267 0.4119
O 0.0337 0.6442 0.9445
O 0.0495 0.9197 0.2374
O 0.0742 0.2942 0.7728
O 0.1079 0.7967 0.7863
O 0.1485 0.4454 0.6125
O 0.1651 0.3948 0.2995
O 0.1849 0.9700 0.4876
O 0.1976 0.0007 0.9885
O 0.2146 0.5614 0.0874
O 0.2180 0.6604 0.5192
O 0.2324 0.2198 0.6179
O 0.2450 0.2500 0.1192
O 0.2648 0.8266 0.3057
O 0.2873 0.7739 0.9909
O 0.3238 0.4256 0.8204
O 0.3651 0.9270 0.8422
O 0.3792 0.3003 0.3692
O 0.3989 0.5835 0.6665
O 0.4008 0.0932 0.1932
O 0.4031 0.1782 0.9664
O 0.4308 0.6137 0.3528
O 0.4998 0.1088 0.7534
O 0.5243 0.5444 0.1383
O 0.5287 0.6301 0.9141
O 0.5301 0.1395 0.4422
O 0.5507 0.4244 0.7376
O 0.5727 0.7940 0.2704
O 0.6061 0.2957 0.2861
O 0.6450 0.9417 0.1042
O 0.6589 0.8857 0.8063
O 0.6823 0.4711 0.9873
O 0.6980 0.5021 0.4890
O 0.7121 0.0623 0.5889
O 0.7145 0.1571 0.0147
O 0.7333 0.7183 0.1188
O 0.7449 0.7522 0.6204
O 0.7630 0.3284 0.8060
O 0.7811 0.2748 0.4933
O 0.8209 0.9266 0.3197
O 0.8558 0.4263 0.3342
O 0.8791 0.7996 0.8703
O 0.8969 0.0793 0.1631
O 0.9011 0.5940 0.6950
O 0.9051 0.6769 0.4680
O 0.9274 0.1110 0.8500
O 0.9987 0.6081 0.2537

***

No. 2
The following is a PBE+U calculation of RbLi2Fe2B3O9 after structural relaxation, from the Materials Project database.

Symmetry   P2/c
ρ   3.0 g/cm3
Volume   427.8 Å³/cell

abc: 6.4463 5.0828 13.0588
angles: 90.00 91.39 90.00
Sites, in units of the cell vectors:
Rb 0.0000 0.2083 0.2500
Rb 0.0000 0.7917 0.7500
Li 0.4974 0.1723 0.3654
Li 0.4974 0.8277 0.8654
Li 0.5026 0.1723 0.1346
Li 0.5026 0.8277 0.6346
Fe 0.2343 0.3157 0.5633
Fe 0.2343 0.6843 0.0633
Fe 0.7657 0.3157 0.9367
Fe 0.7657 0.6843 0.4367
B 0.1966 0.1822 0.9577
B 0.1966 0.8178 0.4577
B 0.5000 0.3328 0.7500
B 0.5000 0.6672 0.2500
B 0.8034 0.1822 0.5423
B 0.8034 0.8178 0.0423
O 0.0460 0.2968 0.8950
********

After she got up from her nap, we all went into the spa.  She is finally starting to get comfortable with the water again.  She is still not wanting to take her vest off and try to swim on her own- which breaks my heart because I'm such a water person!!

I want her to be just like her Mommy- be on the swim team and water polo team!!  But I gotta remember, she is still just three... lol.

Hmm, what else, what else?

Oh!  I'm getting stricter with my diet.

See, in July, I'm going to a wedding of a guy who I went to high school with.  Well, there will be plenty of people that I went to school with there, so I want to go and feel good about myself and not wonder in the back of my head if they are saying stuff like, "Oh my god, look at how fat she is" or "What happened to her!?"

I know.  I know.  I just had a baby (3 months ago, yesterday!!) and I have to let my body go back and it will take time, but I don't want to go there and be uncomfortable.

I am also getting sticter for myself... Don't think I'm just doing it for that wedding reason.  I want to loose the weight and the only way I will is if I'm not cheating or being slack about it... You know, sneaking a cookie and not counting points!

Plus, I'm dead serious about excersising!!  It definetly gives you a natural high... Even if it is hard to do it, it surely makes you feel better in the end.  I was actually contemplating getting up extra early some mornings and going for a walk/run...

But I don't know how smart of an idea that is :)  Going by myself isn't probably the smartest thing to do...


Well, because I am having to do some extra stuff today at work, I'm going to cut this a little shorter than normal.  I know, I've rambled onplenty, but it is shorter than my normal (what ever that might be) entries!

I hope everyone has a wonderful Monday...


*tag lounge tag*




Anonymous said...

I have been to the Hershey park and factory in PA. Its pretty cool. I hope that your diet continues to go well.

Anonymous said...

Did you say Chocolate?!  You lost me after mentioning the word chocolate.  LOL!  Can we say diet deprivation?  And, it's only been 1 day!  AAAGGHHHH!  
Hugs and love, Lisa

Anonymous said...

Oh my...I would be in heaven at a chocolate festival.  I'm sooo proud of you for not've got more will power than I

You're definitely right about makes you feel so much better.  I walk in the evenings when it's nice outside.  I have to enjoy that before it gets to darn hot.  We live in a new subdivision where they're still building so I also get to go in to  I like to be nosey and see what they're doing with the different floor plans..heehee  
